Package Explorer Quick Cheat Sheet

Setup Your Target

Click on File » Set Database Root (Ctrl-D) and define the path where your want your files to be installed.

This directory is where you get all the files as defined in the data.tar.gz file.

It will also include the database of the target under .../var/lib/wpkg/...

Setup Your Sources

If you have a sources directory, then use File » Manager Package Source (Ctrl-S) to add it to the list of managed sources. This allows you to make use of the Package » Update (Ctrl-C) and Package » Upgrade (Ctrl-U) features.

You can create a sources directory with the wpkg --create-index command.

When you click Ok, Package Explorer asks you whether you want to update right away. Saying Yes is safe and the expected course of action so you get all the newest available index.tar.gz files in your target system.


When you create standalone packages (opposed to packages in a sources) then you can directly import them in your target system with the Package » Import (Ctrl-T) option. This is the most practical option if you are working on a project and want to test that its package works as expected. It is, however, quite tedious to use if you have many sources scaterred all over the place. In that case, the install / update / upgrade options is better suited.

If you installed sources, missing dependencies will also be installed using those sources as package repositories to satisfy those dependencies.


Once you installed your sources, you can update your target system with the Package » Update (Ctrl-C) option. The update loads all the sources index.tar.gz files locally so the target system can quickly list all the available packages.

Note that when you first install a source, the system detects that and offers you to update immediately. This is done so you do not forget to do an update before an install or upgrade (otherwise that new source would not count.)


With sources defined and updated you can decide to install packages. Select Package » Install (Ctrl-I) to see the list of packages available in your sources, select the ones you want to install, then click Apply. The system will gather all the information about what is going to installed (i.e. at times you select packages that have dependencies that need to be installed first.) At that point you can confirm or cancel the request. If you confirm, all those packages are installed on your target system.

## Here the piece breaks off for records of molecules
____________
{"formula": "C14H11N3O3S3SeV", "method": "ωB97M-V with the def2-TZVPD basis set", "homo_energy_ev": [-11.64, -11.68], "e_tot_ha": -5469.916154, "charge": 1, "e_lumo_ha": [-0.1877, -0.1785], "de_lowest_kcal_mol": 30.0, "s_squared": 2.020, "spin_multiplicity": 3, "species": ["V", "S", "C", "N", "C", "C", "C", "C", "C", "C", "S", "H", "H", "H", "H", "Se", "N", "C", "C", "C", "C", "C", "C", "N", "H", "H", "H", "H", "C", "S", "O", "O", "O", "H", "H", "H"], "xyz": [[-0.57, 0.07, 1.01], [0.57, 1.34, -0.62], [1.46, 1.52, 0.84], [1.04, 0.70, 1.80], [1.69, 0.89, 3.03], [1.43, 0.23, 4.22], [2.17, 0.59, 5.33], [3.15, 1.58, 5.26], [3.41, 2.24, 4.07], [2.66, 1.88, 2.96], [2.73, 2.56, 1.35], [0.67, -0.54, 4.27], [1.98, 0.09, 6.28], [3.71, 1.85, 6.14], [4.17, 3.00, 4.02], [-1.43, -2.86, 0.79], [0.00, -1.72, 0.70], [1.11, -2.47, 0.91], [2.44, -1.99, 0.88], [3.43, -2.88, 1.17], [3.18, -4.25, 1.47], [1.92, -4.75, 1.46], [0.85, -3.86, 1.16], [-0.42, -4.23, 1.12], [2.66, -0.97, 0.61], [4.46, -2.53, 1.15], [4.01, -4.90, 1.71], [1.71, -5.79, 1.65], [-4.29, 0.91, 2.29], [-2.69, 0.41, 1.84], [-2.13, -0.59, 2.75], [-2.65, -0.16, 0.46], [-1.75, 1.57, 1.83], [-4.98, 0.11, 2.03], [-4.51, 1.83, 1.74], [-4.27, 1.09, 3.36]]}

***

{"formula": "C14H11N3O5", "method": "ωB97M-V with the def2-TZVPD basis set", "homo_energy_ev": -8.09, "e_tot_ha": -1080.586915, "e_lumo_ha": -0.0453, "de_lowest_kcal_mol": 5.4, "species": ["O", "O", "O", "O", "O", "C", "C", "C", "C", "C", "C", "C", "C", "C", "C", "C", "N", "N", "N", "C", "C", "C", "H", "H", "H", "H", "H", "H", "H", "H", "H", "H", "H"], "xyz": [[-0.39, -1.83, 4.36], [-2.54, -0.45, -2.06], [-3.38, -1.34, -0.18], [2.67, 3.59, -2.64], [1.17, 1.69, -4.09], [-0.30, -1.03, 3.44], [-2.44, -1.13, -1.01], [1.12, 1.61, 1.43], [0.50, 0.59, 2.10], [-0.21, -0.41, 1.39], [1.92, 2.60, -0.61], [0.41, 0.72, -2.09], [1.95, 2.63, -2.01], [1.19, 1.69, -2.72], [1.13, 1.59, 0.00], [0.37, 0.61, -0.70], [0.36, 0.18, 3.40], [-0.34, -0.40, -0.01], [-0.67, -1.32, 2.15], [-1.05, -1.56, -0.61], [-1.53, -2.39, 1.75], [-1.13, -2.77, 0.33], [2.51, 3.55, -3.62], [0.30, 1.35, -4.37], [1.66, 2.39, 1.96], [2.45, 3.37, -0.06], [-0.18, 0.09, -2.68], [0.93, 0.46, 4.18], [-0.56, -1.91, -1.56], [-2.60, -2.11, 1.80], [-1.36, -3.22, 2.39], [-0.17, -3.26, 0.37], [-1.79, -3.59, -0.02]]}

***
____________

Note that the list of packages appearing in the Install window come from the sources. If your sources were not properly defined or you did not update them, then the install window will be/remain empty. In this case, you may want to try the Package » Import (Ctrl-T) feature instead.


Select one or more packages in the browser (left column) and click on Package » Remove (Del) to remove them. A dialog opens giving you additional options and a chance to cancel in case a package you selected should not be removed. Note that some packages may be required by others. If you do not turn on the Recursive option (click Options at the bottom left) then the whole process will fail with an error and no packages will be removed. The Recursive option can be dangerous since it will remove all the packages that need to be removed and that may include packages you wanted to keep.

By default the remove feature does just a --remove. This means you do not lose your configuration files. You may select the Purge option to remove everything, including control files and their backups.


The Package » Upgrade (Ctrl-U) function checks the current installation target for packages that can be upgraded, which means installing newer version of packages that are currently installed in your target system.

The upgrade function is similar to an install of packages that are already installed with a newer version found in one of your sources. If all packages are up to date, then the upgrade function does nothing (the window that opens remains empty.)

The GUI side of the Windows Packager

Package Explorer

Package Explorer Screen Shot